Listing >
Material: Na14La4Ti4Si9S3O48
Method: DFT, PBE-GGA
State: optimized geometry

Cell: 9.351 16.290 22.612 Å, 90.67 90.02 90.08°
Fractional positions:
Na 0.000 0.000 0.000
Na 0.000 0.650 0.336
Na 0.107 0.147 0.831
Na 0.110 0.498 0.505
Na 0.123 0.520 0.842
Na 0.127 0.818 0.178
Na 0.132 0.854 0.507
Na 0.160 0.505 0.171
Na 0.163 0.163 0.521
Na 0.183 0.850 0.834
Na 0.299 0.999 0.922
Na 0.300 0.675 0.253
Na 0.302 0.326 0.088
Na 0.307 0.682 0.744
Na 0.313 0.333 0.594
Na 0.318 0.989 0.434
Na 0.418 0.840 0.344
Na 0.432 0.175 0.009
Na 0.458 0.511 0.664
Na 0.469 0.829 0.673
Na 0.479 0.866 0.006
Na 0.486 0.514 0.347
Na 0.506 0.150 0.325
Na 0.611 0.656 0.820
Na 0.625 0.015 0.832
Na 0.632 0.363 0.510
Na 0.645 0.325 0.172
Na 0.654 0.012 0.163
Na 0.679 0.676 0.512
Na 0.695 0.339 0.840
Na 0.787 0.487 0.924
Na 0.798 0.166 0.747
Na 0.798 0.834 0.093
Na 0.801 0.178 0.246
Na 0.808 0.829 0.591
Na 0.812 0.501 0.431
Na 0.925 0.348 0.342
Na 0.946 0.006 0.669
Na 0.948 0.667 0.011
Na 0.977 0.314 0.674
Na 0.981 0.347 0.999
Na 0.988 0.016 0.347
La 0.299 0.676 0.408
La 0.301 0.345 0.444
La 0.309 0.004 0.755
La 0.312 0.011 0.082
La 0.314 0.671 0.906
La 0.319 0.994 0.267
La 0.792 0.496 0.767
La 0.798 0.510 0.583
La 0.801 0.169 0.409
La 0.808 0.846 0.940
La 0.810 0.175 0.906
La 0.811 0.504 0.258
Ti 0.294 0.674 0.102
Ti 0.297 0.352 0.948
Ti 0.300 0.998 0.582
Ti 0.309 0.335 0.736
Ti 0.311 0.342 0.235
Ti 0.315 0.690 0.593
Ti 0.787 0.853 0.729
Ti 0.797 0.189 0.094
Ti 0.801 0.836 0.236
Ti 0.816 0.168 0.605
Ti 0.817 0.853 0.450
Ti 0.830 0.500 0.075
Si 0.004 0.678 0.500
Si 0.029 0.340 0.838
Si 0.081 0.840 0.338
Si 0.106 0.178 0.001
Si 0.143 0.846 0.671
Si 0.151 0.524 0.005
Si 0.153 0.160 0.669
Si 0.153 0.820 0.006
Si 0.160 0.489 0.332
Si 0.445 0.474 0.839
Si 0.452 0.526 0.508
Si 0.464 0.836 0.503
Si 0.469 0.835 0.170
Si 0.476 0.170 0.172
Si 0.508 0.840 0.836
Si 0.600 0.339 0.337
Si 0.611 0.014 0.673
Si 0.634 0.670 0.672
Si 0.642 0.336 0.670
Si 0.649 0.336 0.004
Si 0.660 0.026 0.008
Si 0.667 0.974 0.340
Si 0.953 0.317 0.507
Si 0.954 0.989 0.831
Si 0.960 0.660 0.168
Si 0.969 0.347 0.170
Si 0.974 0.024 0.505
S 0.136 0.502 0.674
S 0.160 0.194 0.330
S 0.437 0.202 0.840
S 0.491 0.507 0.171
S 0.499 0.162 0.510
S 0.611 0.661 0.012
S 0.669 0.701 0.338
S 0.952 0.692 0.834
S 0.975 0.003 0.174
O 0.000 0.190 0.326
O 0.036 0.159 0.936
O 0.043 0.511 0.727
O 0.047 0.488 0.621
O 0.063 0.987 0.121
O 0.069 0.011 0.227
O 0.071 0.659 0.434
O 0.112 0.685 0.829
O 0.127 0.310 0.518
O 0.128 0.001 0.827
O 0.132 0.341 0.899
O 0.135 0.341 0.779
O 0.135 0.672 0.153
O 0.144 0.348 0.173
O 0.145 0.006 0.518
O 0.145 0.689 0.545
O 0.149 0.576 0.945
O 0.151 0.110 0.731
O 0.178 0.925 0.340
O 0.184 0.442 0.394
O 0.185 0.759 0.332
O 0.194 0.921 0.623
O 0.203 0.097 0.015
O 0.205 0.263 0.002
O 0.206 0.226 0.389
O 0.207 0.786 0.941
O 0.212 0.426 0.276
O 0.212 0.913 0.014
O 0.213 0.247 0.282
O 0.213 0.759 0.649
O 0.215 0.255 0.675
O 0.220 0.110 0.324
O 0.220 0.431 0.002
O 0.221 0.578 0.059
O 0.228 0.101 0.618
O 0.229 0.575 0.669
O 0.229 0.870 0.731
O 0.231 0.427 0.678
O 0.233 0.757 0.055
O 0.252 0.574 0.326
O 0.367 0.439 0.519
O 0.367 0.563 0.835
O 0.370 0.869 0.226
O 0.377 0.118 0.840
O 0.382 0.245 0.787
O 0.383 0.809 0.441
O 0.388 0.922 0.524
O 0.389 0.573 0.157
O 0.391 0.424 0.899
O 0.394 0.592 0.559
O 0.397 0.245 0.895
O 0.398 0.743 0.156
O 0.400 0.091 0.518
O 0.400 0.136 0.112
O 0.401 0.418 0.780
O 0.406 0.262 0.185
O 0.406 0.427 0.171
O 0.409 0.923 0.835
O 0.414 0.240 0.516
O 0.419 0.753 0.826
O 0.420 0.564 0.442
O 0.423 0.766 0.554
O 0.455 0.103 0.226
O 0.459 0.683 0.662
O 0.462 0.902 0.117
O 0.468 0.995 0.631
O 0.470 0.325 0.685
O 0.473 0.346 0.284
O 0.474 0.332 0.999
O 0.486 0.013 0.011
O 0.492 0.983 0.342
O 0.495 0.662 0.056
O 0.510 0.699 0.332
O 0.522 0.338 0.401
O 0.551 0.652 0.951
O 0.552 0.036 0.738
O 0.552 0.523 0.231
O 0.558 0.155 0.449
O 0.585 0.835 0.901
O 0.597 0.200 0.834
O 0.608 0.496 0.127
O 0.616 0.164 0.554
O 0.620 0.482 0.842
O 0.625 0.513 0.510
O 0.632 0.849 0.782
O 0.640 0.832 0.499

Request >
Retype everything above without additions.

Reply >
Material: Na14La4Ti4Si9S3O48
Method: DFT, PBE-GGA
State: optimized geometry

Cell: 9.351 16.290 22.612 Å, 90.67 90.02 90.08°
Fractional positions:
Na 0.000 0.000 0.000
Na 0.000 0.650 0.336
Na 0.107 0.147 0.831
Na 0.110 0.498 0.505
Na 0.123 0.520 0.842
Na 0.127 0.818 0.178
Na 0.132 0.854 0.507
Na 0.160 0.505 0.171
Na 0.163 0.163 0.521
Na 0.183 0.850 0.834
Na 0.299 0.999 0.922
Na 0.300 0.675 0.253
Na 0.302 0.326 0.088
Na 0.307 0.682 0.744
Na 0.313 0.333 0.594
Na 0.318 0.989 0.434
Na 0.418 0.840 0.344
Na 0.432 0.175 0.009
Na 0.458 0.511 0.664
Na 0.469 0.829 0.673
Na 0.479 0.866 0.006
Na 0.486 0.514 0.347
Na 0.506 0.150 0.325
Na 0.611 0.656 0.820
Na 0.625 0.015 0.832
Na 0.632 0.363 0.510
Na 0.645 0.325 0.172
Na 0.654 0.012 0.163
Na 0.679 0.676 0.512
Na 0.695 0.339 0.840
Na 0.787 0.487 0.924
Na 0.798 0.166 0.747
Na 0.798 0.834 0.093
Na 0.801 0.178 0.246
Na 0.808 0.829 0.591
Na 0.812 0.501 0.431
Na 0.925 0.348 0.342
Na 0.946 0.006 0.669
Na 0.948 0.667 0.011
Na 0.977 0.314 0.674
Na 0.981 0.347 0.999
Na 0.988 0.016 0.347
La 0.299 0.676 0.408
La 0.301 0.345 0.444
La 0.309 0.004 0.755
La 0.312 0.011 0.082
La 0.314 0.671 0.906
La 0.319 0.994 0.267
La 0.792 0.496 0.767
La 0.798 0.510 0.583
La 0.801 0.169 0.409
La 0.808 0.846 0.940
La 0.810 0.175 0.906
La 0.811 0.504 0.258
Ti 0.294 0.674 0.102
Ti 0.297 0.352 0.948
Ti 0.300 0.998 0.582
Ti 0.309 0.335 0.736
Ti 0.311 0.342 0.235
Ti 0.315 0.690 0.593
Ti 0.787 0.853 0.729
Ti 0.797 0.189 0.094
Ti 0.801 0.836 0.236
Ti 0.816 0.168 0.605
Ti 0.817 0.853 0.450
Ti 0.830 0.500 0.075
Si 0.004 0.678 0.500
Si 0.029 0.340 0.838
Si 0.081 0.840 0.338
Si 0.106 0.178 0.001
Si 0.143 0.846 0.671
Si 0.151 0.524 0.005
Si 0.153 0.160 0.669
Si 0.153 0.820 0.006
Si 0.160 0.489 0.332
Si 0.445 0.474 0.839
Si 0.452 0.526 0.508
Si 0.464 0.836 0.503
Si 0.469 0.835 0.170
Si 0.476 0.170 0.172
Si 0.508 0.840 0.836
Si 0.600 0.339 0.337
Si 0.611 0.014 0.673
Si 0.634 0.670 0.672
Si 0.642 0.336 0.670
Si 0.649 0.336 0.004
Si 0.660 0.026 0.008
Si 0.667 0.974 0.340
Si 0.953 0.317 0.507
Si 0.954 0.989 0.831
Si 0.960 0.660 0.168
Si 0.969 0.347 0.170
Si 0.974 0.024 0.505
S 0.136 0.502 0.674
S 0.160 0.194 0.330
S 0.437 0.202 0.840
S 0.491 0.507 0.171
S 0.499 0.162 0.510
S 0.611 0.661 0.012
S 0.669 0.701 0.338
S 0.952 0.692 0.834
S 0.975 0.003 0.174
O 0.000 0.190 0.326
O 0.036 0.159 0.936
O 0.043 0.511 0.727
O 0.047 0.488 0.621
O 0.063 0.987 0.121
O 0.069 0.011 0.227
O 0.071 0.659 0.434
O 0.112 0.685 0.829
O 0.127 0.310 0.518
O 0.128 0.001 0.827
O 0.132 0.341 0.899
O 0.135 0.341 0.779
O 0.135 0.672 0.153
O 0.144 0.348 0.173
O 0.145 0.006 0.518
O 0.145 0.689 0.545
O 0.149 0.576 0.945
O 0.151 0.110 0.731
O 0.178 0.925 0.340
O 0.184 0.442 0.394
O 0.185 0.759 0.332
O 0.194 0.921 0.623
O 0.203 0.097 0.015
O 0.205 0.263 0.002
O 0.206 0.226 0.389
O 0.207 0.786 0.941
O 0.212 0.426 0.276
O 0.212 0.913 0.014
O 0.213 0.247 0.282
O 0.213 0.759 0.649
O 0.215 0.255 0.675
O 0.220 0.110 0.324
O 0.220 0.431 0.002
O 0.221 0.578 0.059
O 0.228 0.101 0.618
O 0.229 0.575 0.669
O 0.229 0.870 0.731
O 0.231 0.427 0.678
O 0.233 0.757 0.055
O 0.252 0.574 0.326
O 0.367 0.439 0.519
O 0.367 0.563 0.835
O 0.370 0.869 0.226
O 0.377 0.118 0.840
O 0.382 0.245 0.787
O 0.383 0.809 0.441
O 0.388 0.922 0.524
O 0.389 0.573 0.157
O 0.391 0.424 0.899
O 0.394 0.592 0.559
O 0.397 0.245 0.895
O 0.398 0.743 0.156
O 0.400 0.091 0.518
O 0.400 0.136 0.112
O 0.401 0.418 0.780
O 0.406 0.262 0.185
O 0.406 0.427 0.171
O 0.409 0.923 0.835
O 0.414 0.240 0.516
O 0.419 0.753 0.826
O 0.420 0.564 0.442
O 0.423 0.766 0.554
O 0.455 0.103 0.226
O 0.459 0.683 0.662
O 0.462 0.902 0.117
O 0.468 0.995 0.631
O 0.470 0.325 0.685
O 0.473 0.346 0.284
O 0.474 0.332 0.999
O 0.486 0.013 0.011
O 0.492 0.983 0.342
O 0.495 0.662 0.056
O 0.510 0.699 0.332
O 0.522 0.338 0.401
O 0.551 0.652 0.951
O 0.552 0.036 0.738
O 0.552 0.523 0.231
O 0.558 0.155 0.449
O 0.585 0.835 0.901
O 0.597 0.200 0.834
O 0.608 0.496 0.127
O 0.616 0.164 0.554
O 0.620 0.482 0.842
O 0.625 0.513 0.510
O 0.632 0.849 0.782
O 0.640 0.832 0.499